As your due date approaches, it’s natural to wonder if every little twinge or sensation could mean that labour is starting. To help you feel more prepared, here are some of the early signs that might signal your baby is on the way:
## Crystal structures, as found in the file
+++
Material: Dy2TiSi2
Method: DFT, PBE
State: relaxed

```
5
Lattice="-1.217 0.000 -2.652 -2.520 -0.911 1.156 -3.984 13.341 1.826" Properties=species:S:1:pos:R:3 pbc="T T T"
Dy -4.351 7.857 0.390
Dy -3.370 4.573 -0.060
Ti -1.868 -0.456 -0.748
Si -5.153 10.544 0.758
Si -2.568 1.886 -0.427
```

## Properties
SG   No. 123
Size of the total moment   0.5 μB per formula unit

---

Material: DyTiSi
Method: DFT, PBE
State: relaxed

```
6
Lattice="-0.475 3.788 -1.313 -0.508 -1.369 -3.764 -7.451 -0.520 1.194" Properties=species:S:1:pos:R:3 pbc="T T T"
Si -2.003 1.771 -0.374
Si -5.939 -1.081 -0.971
Dy -5.123 1.553 0.126
Dy -2.820 -0.864 -1.471
Ti -0.491 1.209 -2.539
Ti 0.000 0.000 0.000
```

## Properties
SG   No. 129

---

Material: SmDy3
Method: DFT, PBE
State: relaxed

```
4
Lattice="-2.522 2.522 5.050 2.522 -2.522 5.050 2.522 2.522 -5.050" Properties=species:S:1:pos:R:3 pbc="T T T"
Dy 2.522 0.000 2.525
Dy 0.000 2.522 2.525
Dy 0.000 0.000 5.050
Sm 0.000 0.000 0.000
```

## Properties
SG   No. 139

---

Material: SmDy3
Method: DFT, PBE
State: relaxed

```
8
Lattice="-6.758 -0.660 2.585 1.203 -0.356 -7.157 0.702 -5.628 0.398" Properties=species:S:1:pos:R:3 pbc="T T T"
Dy -4.912 -4.830 1.269
Dy 0.058 -1.814 -5.442
Dy -3.339 -2.145 -4.143
Dy -0.546 -1.635 -1.845
Dy -4.307 -5.010 -2.328
Dy -1.515 -4.499 -0.031
Sm -0.925 -4.679 -3.611
Sm -3.929 -1.966 -0.562
```

## Properties
SG   No. 194

---

Material: Sm3Dy
Method: DFT, PBE
State: relaxed

```
4
Lattice="-3.505 1.153 3.535 2.036 -3.469 3.151 3.111 3.570 1.920" Properties=species:S:1:pos:R:3 pbc="T T T"
Sm -0.197 2.362 2.727
Sm 2.574 0.051 2.535
Sm -0.734 -1.158 3.343
Dy 0.000 0.000 0.000
```

## Properties
Energy above the lowest structure with this stoichiometry   0 meV per atom
SG   No. 221

---

Material: Sm3Dy
Method: DFT, PBE
State: relaxed

```
8
Lattice="-6.559 -1.834 2.633 3.851 -4.829 -3.895 2.499 -1.939 4.875" Properties=species:S:1:pos:R:3 pbc="T T T"
Dy -2.464 -3.317 1.676
Dy 2.256 -5.285 1.938
Sm -0.538 -5.732 -0.271
Sm 0.815 -2.400 0.359
Sm -1.024 -6.202 3.254
Sm 0.330 -2.870 3.885
Sm -2.950 -3.787 5.201
Sm 2.741 -4.814 -1.588
```

## Properties
Energy above the lowest structure with this stoichiometry   11 meV per atom
SG   No. 194

---

no.,energy of formation (eV per atom)
1,0.792
2,-0.629
3,0.021
4,0.020
5,0.012
6,0.023

* * * * *

A relaxed Lu15C19 crystal, computed with PBE-GGA.

a = 7.926 Å, b = 7.926 Å, c = 15.171 Å
α = 90.00°, β = 90.00°, γ = 90.00°
Positions (direct):
1 Lu 0.000 0.000 0.000
2 Lu 0.000 0.000 0.332
3 Lu 0.000 0.000 0.668
4 Lu 0.093 0.297 0.500
5 Lu 0.098 0.716 0.149
6 Lu 0.098 0.716 0.851
7 Lu 0.203 0.407 0.000
8 Lu 0.216 0.598 0.351
9 Lu 0.216 0.598 0.649
10 Lu 0.284 0.098 0.149
11 Lu 0.284 0.098 0.851
12 Lu 0.297 0.907 0.500
13 Lu 0.402 0.216 0.351
14 Lu 0.402 0.216 0.649
15 Lu 0.407 0.797 0.000
16 Lu 0.500 0.500 0.168
17 Lu 0.500 0.500 0.500
18 Lu 0.500 0.500 0.832
19 Lu 0.593 0.203 0.000
20 Lu 0.598 0.784 0.351
21 Lu 0.598 0.784 0.649
22 Lu 0.703 0.093 0.500
+++
- Contractions: You might notice regular, painful contractions that gradually get stronger and closer together. These contractions are helping your cervix thin out and open up to get ready for delivery. They often feel like abdominal tightening, lower backache, or pain radiating down to your thighs.
- Lower back pain and cramping: That familiar cramping in your lower back and belly, much like period pain, could be an early sign that labour is on its way. It might just feel like a dull ache at first but can intensify over time.
- Pelvic pressure: As your baby drops lower into the birth canal, you may feel increased pressure or heaviness in your pelvis. You might also feel the urge to go to the toilet more often as your baby presses down on your bladder.
- Mucus plug discharge: Losing your mucus plug, which seals the cervix throughout pregnancy, is another sign that labour could be near. This mucus plug is removed through discharge, which can be clear, pink, or slightly bloody. You may notice this jelly-like discharge days, or even weeks, before labour kicks in.
- Water breaking: One of the sure-shot signs that labour is starting is when your water breaks. This could be a sudden gush of fluid or a slower trickle. If you think your water has broken, it’s important to contact your doctor or head to the labour room straight away.
Keeping an eye on these signs can help you feel more confident about when labour is starting. And remember, if you're ever unsure, don't hesitate to reach out to your healthcare provider for advice!
Changes in Cervical Dilation and Effacement
It's super interesting to know how your body physically prepares for labour. Let's talk about what happens to your cervix, which is the canal that connects your uterus to your vagina.
The cervix thins and shortens in preparation for childbirth as labour approaches. This is called cervical effacement or effacement of the cervix. When you get contractions, you are helping this cervical effacement, making it easier for the baby to come out. Cervical effacement is measured in percentages from 0% to 100%.
Another thing happens to your cervix. It dilates. Cervical dilation means the relaxation and opening of the cervix. It is measured in centimetres from 0 to 10 cm. In early labour, your cervix may dilate slowly, while active labour is characterised by more rapid dilation. Your healthcare provider will monitor these changes during prenatal check-ups to assess your progress.
When the cervix is 80-100% effaced and around 4-10 cm dilated, it is likely that you are in the active phase of the first stage of labour.